When the world needs them, superheroes are always ready to answer the call and assemble to fight for justice. Last spring, the call was put out for a different sort of hero to rise up to a challenge spanning 13.1 miles – athletes from all over would join forces in Anaheim in the fall for the inaugural runDisney Avengers Half Marathon. And on November 14th through the 16th, the challenges of the weekend’s activities were met with feats of superhuman strength and endurance by over 12,000 runners. I counted myself among the brave thousands who trained and prepared arduously to tackle [and eventually conquer!] the challenge.
The weekend began with the Race Expo on Friday, held at the Disneyland Hotel, where runners assembled to get their racing bibs with their numbers as well as to listen to nutrition and exercise experts offer advice on preparing for and recovering from the events of the next few days. Additionally, various companies had vendor booths inside, selling race apparel, nutritional supplements, and advertising for other racing events in the upcoming future. At the back of the expo was the Disney official merchandise store which hosted a variety of Avengers running gear – shirts, sweatshirts, water bottles- as well as accessories- necklaces, car stickers, pins, and even a limited line of Dooney and Bourke purses and handbags designed exclusively for the race weekend. Demand for the items was high, with lines lasting over an hour just to get a look at the merchandise stalls.
I, thankfully, encountered none of these lines and managed to purchase one of the purses, which is covered in Avengers-logo fabric featuring the Avengers “A,” as well as symbols for S.H.I.E.L.D., Hawkeye, Thor, Captain America, the Hulk, and Black Widow. If you’re thinking I forgot someone, you’d be right to notice what many people brought to the attention of friends and family over the weekend – a distinct lack of Iron Man on any promotional material. You couldn’t see him anywhere, on any merchandise or banners.
It is unknown the exact reason for this (some speculate copyright issue with IronMan triathlons, but that is merely a rumor), but I personally didn’t mind. With the omission of the iron-suited Avenger, there was more space for the lesser-featured heroes. Considering that 2/3 of the runners of the half marathon [which saw 12,000 participants cross the starting line] were female, it was great to see Black Widow in place of Iron Man on nearly everything. Even featured were Hawkeye and Falcon, two heroes who are seen even less than the others on usual merchandise in stores and on shirts. Just this small bit of representation was extremely exciting and encouraging for the race weekend.
On Saturday the 15th, Disney hosted the Avengers 5k, which saw runners taking the course through both California Adventure and Disneyland park at a lovely, early hour of the morning well before either venue opened to the general public. Later in the morning, they hosted the Children’s Races, for babies, toddlers, and young children alike. Finishers for both of these events received medals featuring the cartoon likenesses of some of the hero mascots for the weekend. The expo was also open on Saturday following these races, and those arriving for the Half Marathon on Sunday came to get their runners’ packets.
[Misplaced materials data]
=====
[1]
Theoretical PXRD pattern of Y3Ge13Pt4 for a wavelength of 1.5418 Å, from a PBE-relaxed structure.
Peak positions follow from Bragg's law for the DFT cell and can differ from measured ones.

Most intense lines, 2θ from 10° to 90°, by angle:
hkl 2 0 2, 19.51°, I 100; hkl 0 2 4, 27.66°, I 43; hkl 0 4 2, 34.18°, I 82; hkl 1 2 5, 35.49°, I 55; hkl 3 2 1, 35.65°, I 47; hkl 4 0 4, 39.61°, I 84; hkl 2 2 6, 44.44°, I 50; hkl 6 0 0, 49.11°, I 95

Lattice parameters (Å, degrees): 12.8398 12.8398 15.8369 90.00 90.00 120.00
Space group R3c (No. 161, hexagonal axes)
Asymmetric unit:
Y 0.0842 0.4159 0.0000 (multiplicity 18)
Ge 0.0000 0.0000 0.0884 (multiplicity 6)
Ge 0.0050 0.1769 0.9122 (multiplicity 18)
Ge 0.0481 0.2067 0.5344 (multiplicity 18)
Ge 0.1015 0.3721 0.8102 (multiplicity 18)
Ge 0.1491 0.0143 0.7185 (multiplicity 18)
Pt 0.0000 0.0000 0.3344 (multiplicity 6)
Pt 0.9997 0.4968 0.8318 (multiplicity 18)

[2]
Theoretical PXRD pattern of Gd2Zr2O5 for a wavelength of 1.5418 Å, from a PBE-relaxed structure.
Peak positions follow from Bragg's law for the DFT cell and can differ from measured ones.

Most intense lines, 2θ from 10° to 90°, by angle:
hkl 1 1 0, 30.61°, I 54; hkl 1 0 2, 32.49°, I 100; hkl 1 1 2, 39.30°, I 14; hkl 2 0 0, 43.84°, I 33; hkl 2 1 2, 55.62°, I 43; hkl 1 1 4, 59.12°, I 13; hkl 2 0 4, 68.05°, I 14; hkl 3 1 0, 72.34°, I 12

Lattice parameters (Å, degrees): 4.130 4.130 7.399 90.00 90.00 90.00
Space group P4/mmm (No. 123)
Asymmetric unit:
Gd 0.000 0.000 0.000 (multiplicity 1)
Gd 0.000 0.000 0.500 (multiplicity 1)
Zr 0.500 0.500 0.217 (multiplicity 2)
O 0.000 0.500 0.258 (multiplicity 4)
O 0.500 0.500 0.500 (multiplicity 1)

----------

# CrFeCoO4
Simulated powder diffractogram, Cu Kα (weighted mean of Kα1 and Kα2). Input: DFT lattice parameters and positions (GGA+U).

```
data_CrFeCoO4
_chemical_formula_sum 'Cr4 Fe4 Co4 O16'
_symmetry_space_group_name_H-M 'I m m a'
_symmetry_Int_Tables_number 74
_symmetry_space_group_name_Hall '-I 2b 2'
_cell_length_a 6.0340
_cell_length_b 6.0864
_cell_length_c 8.4751
_cell_angle_alpha 90.00
_cell_angle_beta 90.00
_cell_angle_gamma 90.00
loop_
_atom_site_label
_atom_site_type_symbol
_atom_site_fract_x
_atom_site_fract_y
_atom_site_fract_z
Cr1 Cr 0.0000 0.0000 0.0000
Fe1 Fe 0.0000 0.2500 0.3729
Co1 Co 0.2500 0.2500 0.7500
O1 O 0.0000 0.0056 0.7585
O2 O 0.2306 0.2500 0.9958
```

Top 6 peaks for 2θ = 15–90°, most intense first:
- hkl 2 2 4, d = 1.507 Å, 61.5°, rel. 100
- hkl 2 1 1, d = 2.575 Å, 34.8°, rel. 100
- hkl 0 1 3, d = 2.561 Å, 35.0°, rel. 87
- hkl 1 2 1, d = 2.587 Å, 34.7°, rel. 80
- hkl 1 1 2, d = 3.014 Å, 29.6°, rel. 60
- hkl 2 2 0, d = 2.143 Å, 42.2°, rel. 37

# CrFe3Co2P6O24
Simulated powder diffractogram, Cu Kα (weighted mean of Kα1 and Kα2). Input: DFT lattice parameters and positions (GGA+U).

```
data_CrFe3Co2P6O24
_chemical_formula_sum 'Cr3 Fe9 Co6 P18 O72'
_symmetry_space_group_name_H-M 'R 3'
_symmetry_Int_Tables_number 146
_symmetry_space_group_name_Hall 'R 3'
_cell_length_a 8.6449
=====
[The materials data stop here]
That afternoon, unofficially organized, the Grand Californian Hotel in Downtown Disney played host to a small meeting of the Carol Corps. For those of you who don’t know, the Carol Corps is a legion of fans of Carol Danvers, Captain Marvel, as written by Kelly Sue DeConnick, who attended race weekend with her husband Matt Fraction, another comic writer, and their children who participated in the children’s races. [There is a smaller division of the Corps, called the Kamala Korps, devoted to G. Willow Wilson’s run of Kamala Khan as Ms. Marvel.]
At the meet, a good, strong handful of both racers and volunteer cheerers for the race gathered in the lobby to pep-talk, chit-chat, and swap race training stories with one another. Some decorated signs that they then used to cheer on the runners who arrived to find the Corps stationed at about Mile 6 of the Half Marathon the next morning. DeConnick herself even came to the meet, bringing along her mother, her daughter, infinite friendliness, and some temporary tattoos from her upcoming book Bitch Planet for Image comics [releasing in December]. The group of us all took photos flexing our arm muscles and duck-face muscles, fostering a community of support and encouragement before the big day.
Later, everyone dispersed and went back to their hotels for healthy dinners, plenty of water, and as much sleep as could be had despite all the excitement and nervous energy in the air. There was no time for late-night partying. The race began at 5:30 am Sunday morning.Racers filed into corrals [determined by their projected running time] with groups A-F hosting those whose varied times were under 3 hours with proof from a previous race. Corrals G and H held about half of the 12,000 runners, who could not provide a previous proof of time or were going to finish the race in over 3 hours net time. Times were tracked by a small electronic chip on the back of race bibs, and then recorded for later viewing online. As this was my first race, I joined thousands of others in the final corral, waiting in the dark of the morning for the gun to go off.
Many runners came dressed as superheroes, either layering running gear reminiscent of their favorite characters or being so bold as to wear a full-on costume. I had a black running shirt onto which I sewed a silver spandex sleeve to imitate the look of the Winter Soldier. My dad, a veteran to these sorts of races, bought a Captain America running shirt and a small shield to match. Our motto for the race morning was “Til the end of the line,” and it might have been adrenaline or sleep deprivation, but when my father leaned over to reassure me he’d be there “til the end of the line” as I ran my first of these races, well, I got emotional.
Some notable runners’ costumes from the weekend included Thor, Wiccan, Hela the goddess of death, Amora the Enchantress, Ant-Man and Wasp, and Beta Ray Bill. There were even some runners dressed as DC heroes Batman, Robin, and Wonder Woman, as well as characters from the newest Disney film Big Hero 6.
At the beginning of the race course, a giant archway featuring the Avengers greeted runners as they passed over the starting mat. There were bright, colorful lights and loud, heroic music to inspire enthusiasm as the morning race went underway. There was a giant screen on the arch, showing video footage as racers took off. It was all very stimulating and exciting, but I quickly came to realize that with 12,000 runners to get over the starting mat, I would have to wait a while in the last corral while others got their starts. It ended up being about 30 minutes from the start of Corral A before I even began to walk onto the course. The sun had begun to come up, but the morning was thankfully still cool. Finally, it was Corral H’s turn to move, and slowly, the crowd rolled to an enthusiastic start.
The race first took us around the perimeter of the Disney Parks, then to the inside, as we ran past dormant attractions through the first few miles of the course. Within the parks were several stops for runners to take pictures with Disney park actors dressed as Thor, Black Widow, and Hawkeye. Their lines were long, and I unfortunately sacrificed this experience for the integrity of my running time. When I passed by, the Captain America actor was not at his stop, but there was a big image of his shield where I could see he should be.
Once out of the parks, we took to the streets of Anaheim, running past hotels and outlet malls, eventually making it all the way to Angels Stadium to run over the infield before making our return to Disney property. There were nine hydration stops along the course, staffed with patient volunteers who passed cups of water and PowerAde to the thirsty runners. There was additionally one nutrition stop where Clif energy product was provided for those who wanted it. I could always tell where one of these stops would be due to debris blowing in the ridiculous winds that plagued the course that morning. I don’t remember much of miles 4 and 8, as I had my eyes nearly closed to avoid dust in my face. This was a strange racing condition, and definitely unusual for one of these SoCal races.
The water and energy gels weren’t the only thing keeping runner energy up along the course. Entertainment volunteers and cheerers lined the courses with homemade signs, wearing cosplay, or playing music to make the journey that much more exciting for the runners. A large band played the instrumental theme to the Avengers at about the 5th mile. For a stretch of the 6th miles, dozens of volunteering cosplayers dressed as Falcon, Thor, White Tiger, Captain Marvel, Star Lord, and many others cheered and high-fived the passersby. Many held signs of encouragement and humor for the runners to see. My personal favorite motivational signs read, “Stan Lee just passed you… Run Faster!,” “This is the worst Disney parade ever,” and “Run like you just stole Thor’s hammer!”
Towards the end of the race, we returned to Disney backlot property for a strong finish in the Downtown Disney district where the Avengers characters from earlier in the race stood on a platform at the finish, urging words of encouragement to the exhausted finishers. Past the finish mat, volunteers distributed medals to all the runners who completed the 13.1 mile trek through Anaheim. The medal features the Avengers “A” as well as the symbols of Cap, the Hulk, and Thor on the back of the spinner piece. The ring around the spinner gives the details of the event, being the Inaugural Mission of the Avengers Half Marathon, meaning there will be others in the future.

The race medal awarded to over 10,000 finishers from the first annual Avengers Half Marathon race at Disneyland.
The turnout of this event, as well as its general reception by the public, were overwhelmingly positive. There was a lot of fun to be had amidst the hard work and self-sacrifice it took to complete the events of the weekend. Personally, as this was my first, I wasn’t expecting any miracles, but I had a genuinely good time tackling the challenge Disney put out this weekend. I am not a regular runner, so I was content with my finishing time of just under three hours despite the crowds and the winds.
I would advise serious runners who wish to compete in this event to provide a recent proof of time in order to avoid being put in one of the latter two race corrals. From there, the crowds rarely thinned out, and I spent a lot more time maneuvering around people than just straight running. I can understand where people in the less crowded groups would have opportunity to shatter personal records, but if you are at the back of the pack, this becomes very difficult.
Even still, I set my own personal record just by finishing. Now that my soreness is subsiding, I’m thinking I’m just crazy enough to try this again next year, but that’s a long time to wait. In the meantime, runDisney hosts plenty of other themed runs, including the upcoming Star Wars Half Marathon weekend in January of the new year. If you’d like to set a goal for yourself to complete one of these races, head over to their website and start researching training schedules. Registration fills up fast, so be sure to keep an eye on it and then make your plans. Finishing one of these races is a lifetime achievement in itself, and you’ll have something cool to tell your friends for years to come.
The medal’s not a bad reward either.